Listing:
Molecular formula: C4H11NO
Method: DFT, ωB97M-V/def2-TZVPD

For the HOMO-LUMO gap, the calculation gives 10.34 eV. The energy above the lowest of the compared OMol25 structures with the same formula, charge and spin is 32.1 kcal/mol. The value obtained for the LUMO energy is 0.973 eV. The SMILES is CC=O.CCN. For the total energy, the calculation gives -288.96589 a.u.

```
17
Properties=species:S:1:pos:R:3:forces:R:3
C -3.907586 0.615608 0.675567 -0.87 0.16 0.73
C -3.876779 0.381988 -0.810201 -0.04 -0.50 -0.91
N -2.759484 1.120116 -1.416745 -0.17 -0.25 0.13
H -2.907474 0.704800 1.067479 0.44 0.07 0.00
H -4.459257 1.525589 0.938779 0.23 0.08 -0.16
H -4.396444 -0.161396 1.273205 -0.02 -0.15 -0.42
H -3.756535 -0.672153 -1.064027 0.50 -0.17 0.34
H -4.823375 0.575667 -1.333805 -0.20 0.48 0.49
H -2.933638 2.114745 -1.342032 0.05 0.05 -0.13
H -2.707674 0.878018 -2.397576 0.09 0.21 -0.08
O 4.668552 -0.214798 -0.155629 -0.05 0.34 -0.18
C 3.637003 -0.401341 0.431467 -0.05 -0.53 0.07
C 3.430665 -1.623897 1.273664 0.45 0.06 0.88
H 2.801281 0.311761 0.399008 -0.07 0.27 -0.19
H 3.003814 -2.471808 0.754121 -0.27 0.01 -0.36
H 2.846118 -1.426270 2.175932 -0.21 0.09 -0.24
H 4.418812 -1.920261 1.607923 0.20 -0.23 0.00
```
Forces are in eV/Å.

Molecular formula: C4H10N2
Method: DFT, ωB97M-V/def2-TZVPD

For the HOMO-LUMO gap, the calculation gives 8.76 eV. The energy above the lowest of the compared OMol25 structures with the same formula, charge and spin is 50.9 kcal/mol. The value obtained for the LUMO energy is 0.938 eV. The SMILES is CC#CN.CN. For the total energy, the calculation gives -267.84414 a.u.

```
16
Properties=species:S:1:pos:R:3:forces:R:3
C 0.626270 2.633580 1.275711 0.12 0.17 0.02
C 0.222974 -2.771814 -2.245947 0.02 -0.01 -0.18
C -0.236778 -1.530603 0.051110 0.12 -0.24 -0.26
C -0.037996 -2.091270 -0.991625 -0.06 0.20 0.28
N -0.390979 -0.929857 1.248423 -0.17 0.03 0.43
N -0.515843 1.983440 0.648487 -0.22 0.09 -0.22
H -0.444378 0.086713 1.173961 -0.15 0.05 0.05
H -1.166911 -1.307001 1.779204 0.13 0.08 -0.01
H -0.354920 1.882296 -0.349164 -0.13 0.02 0.09
H -1.352002 2.546642 0.768546 0.08 -0.13 -0.10
H -0.286607 -2.269496 -3.070227 0.05 -0.11 -0.08
H 1.502416 2.002404 1.134434 0.06 0.05 0.09
H 0.432186 2.722397 2.344033 0.12 0.01 0.02
H 0.846316 3.632311 0.877633 0.03 -0.08 0.07
H 1.293774 -2.790397 -2.455015 -0.03 -0.08 -0.10
H -0.137520 -3.799345 -2.189563 0.04 -0.02 -0.11
```
Forces are in eV/Å.

Molecular formula: H12O6
Method: DFT, ωB97M-V/def2-TZVPD

For the HOMO-LUMO gap, the calculation gives 10.32 eV. The energy above the lowest of the compared OMol25 structures with the same formula, charge and spin is 37.2 kcal/mol. The value obtained for the LUMO energy is -0.215 eV. The SMILES is O.O.O.O.O.O. For the total energy, the calculation gives -458.61320 a.u.

```
18
Properties=species:S:1:pos:R:3:forces:R:3
O -0.356980 -0.955874 -0.334407 -2.11 0.01 -1.54
H 0.096625 -0.907830 0.471373 1.65 -0.10 1.50
H 0.196333 -1.138335 -1.086426 0.52 -0.06 0.00
O 1.178859 0.158667 1.886094 -1.55 0.81 -0.24
H 0.378131 0.154097 2.461981 0.81 0.15 -0.42
H 0.961689 0.857520 1.227962 0.34 -0.60 0.63
O -1.881270 1.557670 -2.361004 -0.11 -0.14 -0.04
H -1.186324 0.908058 -2.222817 0.05 -0.24 0.05
H -1.402541 2.359593 -2.557919 0.04 0.39 -0.16
O 2.447414 -1.751083 3.409286 0.82 0.05 -0.14
H 1.970133 -1.221962 2.775263 0.14 0.40 -0.47
H 1.764408 -2.176503 3.896620 -0.68 -0.70 0.76
O -2.856966 0.338991 0.144370 -1.50 1.22 0.90
H -2.200984 -0.324567 0.019667 0.64 -0.71 -0.98
H -3.340889 0.583299 -0.660109 0.83 -0.46 0.19
O 1.146172 0.487382 -2.640222 0.22 0.01 0.48
H 1.833534 -0.162226 -2.409123 -0.22 0.55 -0.14
H 1.252658 1.233103 -2.020591 0.12 -0.57 -0.37
```
Forces are in eV/Å.

Molecular formula: C8H22CsN2O2
Method: DFT, ωB97M-V/def2-TZVPD

Job:
Next, return the whole of the notes earlier on character by character.

Completed:
Molecular formula: C4H11NO
Method: DFT, ωB97M-V/def2-TZVPD

For the HOMO-LUMO gap, the calculation gives 10.34 eV. The energy above the lowest of the compared OMol25 structures with the same formula, charge and spin is 32.1 kcal/mol. The value obtained for the LUMO energy is 0.973 eV. The SMILES is CC=O.CCN. For the total energy, the calculation gives -288.96589 a.u.

```
17
Properties=species:S:1:pos:R:3:forces:R:3
C -3.907586 0.615608 0.675567 -0.87 0.16 0.73
C -3.876779 0.381988 -0.810201 -0.04 -0.50 -0.91
N -2.759484 1.120116 -1.416745 -0.17 -0.25 0.13
H -2.907474 0.704800 1.067479 0.44 0.07 0.00
H -4.459257 1.525589 0.938779 0.23 0.08 -0.16
H -4.396444 -0.161396 1.273205 -0.02 -0.15 -0.42
H -3.756535 -0.672153 -1.064027 0.50 -0.17 0.34
H -4.823375 0.575667 -1.333805 -0.20 0.48 0.49
H -2.933638 2.114745 -1.342032 0.05 0.05 -0.13
H -2.707674 0.878018 -2.397576 0.09 0.21 -0.08
O 4.668552 -0.214798 -0.155629 -0.05 0.34 -0.18
C 3.637003 -0.401341 0.431467 -0.05 -0.53 0.07
C 3.430665 -1.623897 1.273664 0.45 0.06 0.88
H 2.801281 0.311761 0.399008 -0.07 0.27 -0.19
H 3.003814 -2.471808 0.754121 -0.27 0.01 -0.36
H 2.846118 -1.426270 2.175932 -0.21 0.09 -0.24
H 4.418812 -1.920261 1.607923 0.20 -0.23 0.00
```
Forces are in eV/Å.

Molecular formula: C4H10N2
Method: DFT, ωB97M-V/def2-TZVPD

For the HOMO-LUMO gap, the calculation gives 8.76 eV. The energy above the lowest of the compared OMol25 structures with the same formula, charge and spin is 50.9 kcal/mol. The value obtained for the LUMO energy is 0.938 eV. The SMILES is CC#CN.CN. For the total energy, the calculation gives -267.84414 a.u.

```
16
Properties=species:S:1:pos:R:3:forces:R:3
C 0.626270 2.633580 1.275711 0.12 0.17 0.02
C 0.222974 -2.771814 -2.245947 0.02 -0.01 -0.18
C -0.236778 -1.530603 0.051110 0.12 -0.24 -0.26
C -0.037996 -2.091270 -0.991625 -0.06 0.20 0.28
N -0.390979 -0.929857 1.248423 -0.17 0.03 0.43
N -0.515843 1.983440 0.648487 -0.22 0.09 -0.22
H -0.444378 0.086713 1.173961 -0.15 0.05 0.05
H -1.166911 -1.307001 1.779204 0.13 0.08 -0.01
H -0.354920 1.882296 -0.349164 -0.13 0.02 0.09
H -1.352002 2.546642 0.768546 0.08 -0.13 -0.10
H -0.286607 -2.269496 -3.070227 0.05 -0.11 -0.08
H 1.502416 2.002404 1.134434 0.06 0.05 0.09
H 0.432186 2.722397 2.344033 0.12 0.01 0.02
H 0.846316 3.632311 0.877633 0.03 -0.08 0.07
H 1.293774 -2.790397 -2.455015 -0.03 -0.08 -0.10
H -0.137520 -3.799345 -2.189563 0.04 -0.02 -0.11
```
Forces are in eV/Å.

Molecular formula: H12O6
Method: DFT, ωB97M-V/def2-TZVPD

For the HOMO-LUMO gap, the calculation gives 10.32 eV. The energy above the lowest of the compared OMol25 structures with the same formula, charge and spin is 37.2 kcal/mol. The value obtained for the LUMO energy is -0.215 eV. The SMILES is O.O.O.O.O.O. For the total energy, the calculation gives -458.61320 a.u.

```
18
Properties=species:S:1:pos:R:3:forces:R:3
O -0.356980 -0.955874 -0.334407 -2.11 0.01 -1.54
H 0.096625 -0.907830 0.471373 1.65 -0.10 1.50
H 0.196333 -1.138335 -1.086426 0.52 -0.06 0.00
O 1.178859 0.158667 1.886094 -1.55 0.81 -0.24
H 0.378131 0.154097 2.461981 0.81 0.15 -0.42
H 0.961689 0.857520 1.227962 0.34 -0.60 0.63
O -1.881270 1.557670 -2.361004 -0.11 -0.14 -0.04
H -1.186324 0.908058 -2.222817 0.05 -0.24 0.05
H -1.402541 2.359593 -2.557919 0.04 0.39 -0.16
O 2.447414 -1.751083 3.409286 0.82 0.05 -0.14
H 1.970133 -1.221962 2.775263 0.14 0.40 -0.47
H 1.764408 -2.176503 3.896620 -0.68 -0.70 0.76
O -2.856966 0.338991 0.144370 -1.50 1.22 0.90
H -2.200984 -0.324567 0.019667 0.64 -0.71 -0.98
H -3.340889 0.583299 -0.660109 0.83 -0.46 0.19
O 1.146172 0.487382 -2.640222 0.22 0.01 0.48
H 1.833534 -0.162226 -2.409123 -0.22 0.55 -0.14
H 1.252658 1.233103 -2.020591 0.12 -0.57 -0.37
```
Forces are in eV/Å.

Molecular formula: C8H22CsN2O2
Method: DFT, ωB97M-V/def2-TZVPD